Time is Now for 2020 Vision: Need Manitoba Climate & Social Action Budget

Newcomer families: The role of housing and wrap around supports in Winnipeg

IRCOM staff and participants. By Jill Bucklaschuk As housing advocates across the country recognize National Housing Day on November 22nd, we must continue to acknowledge the central role of housing in building inclusive communities and seek ways to …

When does Temporary become Permanent?

By Lynne Fernandez and Nicole Smith Each year up to 400 mostly Mexican workers come to Manitoba under the Seasonal Agricultural Workers Program (SAWP) to work on local farms. They perform physically strenuous work on vegetable farms and …

The First Rung on the Ladder Community-Based Literacy Programming in Public Housing Complexes

By Jim Silver A wealth of evidence—both global and local—confirms the value of literacy, and the importance of programs that promote literacy. This is especially the case for low-income individuals and communities, for whom gains in literacy can …

18 Prominent Manitobans Fail the Canada Challenge

The ancestors of 18 prominent Manitobans would all be turned away if they applied today to immigrate to Canada.  That was the finding of the first Manitobans to take The Canada Challenge, a quiz that all Canadians were …

Manitoba’s Proactive Enforcement of Temporary Foreign Worker’s Rights is a model for Canada

By Julie Guard Canada’s Temporary Foreign Workers Program (TFWP) has become a hot potato for the federal government, which is frantically attempting to quell widespread outrage sparked by revelations of Canadians fired to be replaced by cheaper, more …

+++
No. 1
An optimized crystal structure of Li2MnF6. Source: the Materials Project, functional PBE with a Hubbard U.

Unit cell a=8.468 b=8.476 c=10.128 alpha=85.25 beta=85.83 gamma=61.39
Space group P1 (No. 1)
Symmetry-distinct sites (fractional):
1 Li 0.000 0.000 0.000 x1
2 Li 0.008 0.421 0.540 x1
3 Li 0.063 0.060 0.336 x1
4 Li 0.127 0.249 0.820 x1
5 Li 0.349 0.329 0.301 x1
6 Li 0.373 0.755 0.831 x1
7 Li 0.392 0.393 0.734 x1
8 Li 0.490 0.561 0.227 x1
9 Li 0.562 0.834 0.323 x1
10 Li 0.655 0.035 0.807 x1
11 Li 0.741 0.698 0.044 x1
12 Li 0.829 0.901 0.516 x1
13 Mn 0.013 0.707 0.771 x1
14 Mn 0.020 0.701 0.267 x1
15 Mn 0.348 0.041 0.066 x1
16 Mn 0.352 0.039 0.568 x1
17 Mn 0.679 0.372 0.977 x1
18 Mn 0.681 0.373 0.478 x1
19 F 0.075 0.782 0.612 x1
20 F 0.082 0.785 0.112 x1
21 F 0.096 0.474 0.709 x1
22 F 0.105 0.475 0.214 x1
23 F 0.131 0.130 0.655 x1
24 F 0.133 0.111 0.158 x1
25 F 0.246 0.620 0.826 x1
26 F 0.249 0.621 0.324 x1
27 F 0.251 0.968 0.936 x1
28 F 0.262 0.260 0.470 x1
29 F 0.267 0.253 0.970 x1
30 F 0.284 0.952 0.434 x1
31 F 0.424 0.133 0.700 x1
32 F 0.429 0.828 0.663 x1
33 F 0.433 0.110 0.198 x1
34 F 0.442 0.815 0.157 x1
35 F 0.463 0.455 0.069 x1
36 F 0.467 0.457 0.572 x1
37 F 0.567 0.949 0.969 x1
38 F 0.573 0.956 0.476 x1
39 F 0.581 0.314 0.343 x1
40 F 0.598 0.282 0.847 x1
41 F 0.601 0.595 0.380 x1
42 F 0.602 0.591 0.884 x1
43 F 0.745 0.471 0.104 x1
44 F 0.757 0.150 0.562 x1
45 F 0.767 0.155 0.070 x1
46 F 0.776 0.446 0.600 x1
47 F 0.784 0.804 0.708 x1
48 F 0.789 0.772 0.208 x1
49 F 0.902 0.290 0.388 x1
50 F 0.905 0.281 0.893 x1
51 F 0.937 0.928 0.839 x1
52 F 0.938 0.925 0.338 x1
53 F 0.942 0.631 0.926 x1
54 F 0.943 0.640 0.432 x1

Properties
The value obtained for the energy relative to the lowest polymorph listed for this composition is 26 meV per atom. The formation enthalpy at 0 K comes out at -2839 meV/atom. The total energy comes out at -273.50 eV for the cell shown.


No. 2
An optimized crystal structure of Li3MnF6. Source: the Materials Project, functional PBE with a Hubbard U.

Unit cell a=5.100 b=8.951 c=9.647 alpha=90.00 beta=92.62 gamma=90.00
Space group Cc (No. 9)
Symmetry-distinct sites (fractional):
1 Li 0.000 0.006 0.000 x4
2 Li 0.475 0.156 0.802 x4
3 Li 0.492 0.170 0.199 x4
4 Mn 0.488 0.166 0.501 x4
5 F 0.135 0.171 0.875 x4
6 F 0.145 0.479 0.884 x4
7 F 0.180 0.167 0.385 x4
8 F 0.291 0.340 0.119 x4
9 F 0.324 0.005 0.626 x4
10 F 0.342 0.315 0.618 x4

Properties
The value obtained for the energy relative to the lowest polymorph listed for this composition is 35 meV per atom. The formation enthalpy at 0 K comes out at -2993 meV/atom. The total energy comes out at -207.46 eV for the cell shown.


No. 3
An optimized crystal structure of LiMnF3. Source: the Materials Project, functional PBE with a Hubbard U.

Unit cell a=8.443 b=5.414 c=5.259 alpha=90.00 beta=90.00 gamma=90.00
Space group Pna2_1 (No. 33)
Symmetry-distinct sites (fractional):
1 Li 0.005 0.131 0.000 x4
2 Mn 0.175 0.644 0.036 x4
3 F 0.006 0.437 0.827 x4
+++

Temporary Foreign Workers: How federal settlement policies overlook some newcomers

By Zoё St-Aubin and Jill Bucklaschuk Manitoba has embarked on aggressive immigration strategies to attract newcomers to settle in a variety of communities in the province with the purpose of meeting local labour force demands. In response to …

Migrant Voices: Stories of Agricultural Migrant Workers in Manitoba

PDF version For a copy of the full report, click here. [Ed. note: Yesterday the Province of Manitoba announced that it would extend health coverage to seasonal agricultural workers.] by Jodi Read, Sarah Zell and Lynne Fernandez Each …

End of Immigration?

Manitoba Preview of  The End of Immigration Monday, October 29 at 7:00 p.m. Ellice Theatre at Ellice and Sherbrook By Lynne Fernandez Every year thousands of migrant workers come to Canada to do the work Canadians don’t want …